New Zealand’s internet filtering system went live last month – but the government forgot to mention this to its electorate until its hand was forced by online freedom campaign, Tech Liberty. Thomas Beagle, a spokesman for the group, said he was “very disappointed that the filter is now running” and that its launch had been conducted in such a “stealthy mode”. He added: “It’s a sad day for the New Zealand internet.” It’s sad indeed, that things like this are possible in modern democracies.
Please fix URL, there’s a wrong character at the end.
And I’m appalled that in an allegedly progressive country such as ours we have had this forced upon us (in secret!!) without any public consultation.
It’s easier to ask for forgiveness than permission.
New Zealand, you’ve changed. You used to be cool.
I wonder what he REALLY typed?
the goal seems noble – fighting child abuse – but I don’t think that’s the way to do it. Plus I am absolutely certain that it won’t prevent child pornography to be send and receive through it because there is no way they can do it.
If you think this isn’t coming to your country you are fooling yourself. Australia’s will be live soon too, implemented in a similar fashion. There are already “news” stories about “sophisticated software” in use by authorities in Australia to look at ALL P2P traffic to catch those illegally downloading movies and music as well as anyone supposedly accessing illegal material like child pornography – although taking a photo of your kids skinny dipping in your own pool can be considered child pornography so whatever you do, don’t email it to their grandmother!
New Zealand and Australia are very small population bases, and the totally underwhelming response from the general population in those countries about these filters is a clear indication to governments that they can do this stuff with little negative impact, so they will.
And then they can control exactly what you do and don’t get to see, and I’m not referring to illegal content…
Edited 2010-03-12 22:02 UTC
I’d think that you, as loyal Apple promoter, would approve of things like this.
Sadly the part that’s lost on unfortunates like yourself who claim to be unbiased yet who’s article posts portray a completely different story is that these filters have no actual benefit, they are purely for control, whereas filtering of apps have a real actual benefit to a very large part of the target audience who live in countries where a rogue application could literally cost thousands of dollars in data charges. There is no denying it also gives Apple tight control but this article had nothing to do with that, yet as is always the case you took the opportunity to use an article that has absolutely nothing to do with Apple to yet again have one of your infantile digs at them.
Tell us again how biased you aren’t…
It was a joke… The big capitals didn’t do the trick?
And the fact you reacted the way you did makes me wonder whether what I meant as a joke is closer to reality than I anticipated.
I was just trying to be lighthearted. Lighten up dude, not everything is an attack on Apple.
Edited 2010-03-12 22:46 UTC
The distinction between apps and content is not clear.
When Apple censors apps, it is recently because of their content. The latest example is the Bild application. The problem is not with the code, with its stability, with its security. The problem is only that it allows a user to see ladies’ nipples.
In a similar way, the problem with the book search app they banned was not stability, security, or usability. The problem was that it allowed people to find and then read the Kama Sutra.
The Bild people, commenting on this, said quite correctly that today it was nipples, but tomorrow it would be politics.
The desire to control what people do with their purchased goods is in the end about authoritarianism and control of what people read and see. Apple is a fifties style company, masquerading as cool and up to date. Its the mentality of Walt Disney circa 1952.
Nothing shows it more clearly than this mania with stopping people seeing what they can see any summer on any European beach, in most European tabloid newspapers every day. And what most every member of the human race saw and felt every day of their babyhood till they were weaned!
I didn’t see anything in the original comment to suggest disapproval, just neutral fact. Governments will do anything as long as people let them get away with it, and most people don’t give a **** about anything beyond their TV screen these days anyway. Pathetic. I’d say those people deserve what they’ve got coming, except that we’re all gonna get it and not just them.
In New Zealand, Internet searches you!
I follow most of the trends on the net quite closely and this announcement after the fact has taken me by surprise. No one that I know is aware this thing was even being planned.
I don’t want to sound rude but you must have living under some sort of rock for the last 2 years because it is the most well known secret out there. All this is being done under the banner, “but won’t someone please think of the children!”.
‘Peter the Pedophile Photo Sharer’ isn’t going to suddenly stop buggering his kids and uploading the photos/videos nor will blocking overseas sites going to stop a pedophile from having those thoughts and acting upon them. The same sort of stupidity is applied to other behaviour and always results in epic fail – they some how think using the same techniques will end up solving the problem?
As for NZ’s horrific rate of child abuse; a beer soaked culture mixed with a rugby fuelled faux macho subculture and a lack of responsibility taken by parents – this is the result. The only difference between now and 30 years ago; the media has suddenly started giving a toss.
Indeed it must be a rather large rock as neither I nor my associates have seen this in the press. I think the Australian version got more press coverage but then I tend to read international newspapers.
Things done out of pure moral panic, leading to a selective eviction of some constitutional rights, almost always get out of control and abused by ruthless people.
google leaving china and kiwiland soon?
Don’t see that happening.
What about Australia too since they have had a filter for a while. Same goes for India.
Edited 2010-03-14 22:52 UTC
[…] the website filtering system prevents access to known websites containing images of child sexual abuse.
That’s a pathetic excuse and I’m shocked it’s being used in NZ. Child abuse existed before the internet and filtering website content will not stop it.
Politicians worry about the internet, but everyone knows child abuse happens mostly at home. Moreover, it’s curious that so little is being said about paedophiles who prey on children after natural disasters happen in underdeveloped countries. In Haiti you can easily find people in the street willing to help you to buy a child if you want one. You can even go shopping for several children from an orphanage in full anonymity. The orpahanages close down after all the children in them have been sold.
Politicians have no sense of morality. It’s been already said they’re worse than paedophiles.
Child porn and piracy is just a pathetic excuse to enforce Internet Filtering. The real reason behind this is that they want to control what you do and don’t, what you can see, form your opinions, allow you to share your opinions or not, leave you without privacy. New Zealand and Australia are just small test to see the populace’s reaction. We will see Internet Filtering in more and more countries. It’s not Conspiracy Theory, it’s the truth: New World Order is coming.
Anonymity networks like Tor Network and use of cryptography begin to matter more and more these days.
Oh, of course! It’s totally the “New World Order!” That explains everything!
“Never attribute to malice that which can be adequately explained by stupidity.” –‘s_razor
Keep the woo off OSNews thanks.
I feel that I should point out that extreme attitudes like your are the cause of the issues we have today. By making claims about the “NWO” you’re basically alienating yourself and your cause.
For example, if I where to come up to you and say “strange green lizards run the government and are trying to kill us all!” You’d probably think I’m crazy.
So next time keep a level head, some humour, but most importantly, stick to logic, not fantasy.
Edited 2010-03-15 09:24 UTC
This is not a surprise. South Korea has been trying to install internet censorship WORSE than China every since the current president is in power.
You know if you live in a “generic” democratic country when: censorships is promoted without the citizens’ approval.
Materials data from another source follow:
-- begin --
(1)
Computed powder XRD pattern
Compound: Ba8AgP3Br3
Radiation: Cu Kα (weighted mean of Kα1 and Kα2)
Structure: a DFT-relaxed cell (GGA-PBE, Alexandria)
Intensities are scaled so that the largest is 100.

Main lines, in order of rising 2θ (10° ≤ 2θ ≤ 90°):
two_theta  I_rel
23.0  21
26.5  100
37.6  36
38.2  37
47.1  19
62.1  16

Crystal structure
abc: 9.5810 9.5810 9.5810
angles: 58.98 58.98 58.98
Fractional coordinates of all 15 atoms:
Ba: 0.2211 0.7537 0.7537
Ba: 0.2396 0.2396 0.2396
Ba: 0.2463 0.2463 0.7789
Ba: 0.2463 0.7789 0.2463
Ba: 0.7537 0.2211 0.7537
Ba: 0.7537 0.7537 0.2211
Ba: 0.7604 0.7604 0.7604
Ba: 0.7789 0.2463 0.2463
Ag: 0.5000 0.5000 0.5000
P: 0.0000 0.0000 0.5000
P: 0.0000 0.5000 0.0000
P: 0.5000 0.0000 0.0000
Br: 0.0000 0.5000 0.5000
Br: 0.5000 0.0000 0.5000
Br: 0.5000 0.5000 0.0000


(2)
Computed powder XRD pattern
Compound: Cs2K3TcO6
Radiation: Cu Kα (weighted mean of Kα1 and Kα2)
Structure: a DFT-relaxed cell (GGA-PBE, Alexandria)
Intensities are scaled so that the largest is 100.

Main lines, in order of rising 2θ (10° ≤ 2θ ≤ 90°):
two_theta  I_rel
15.2  57
26.1  25
27.5  66
28.2  31
30.7  23
33.0  100

Crystal structure
abc: 6.9668 6.9668 6.2940
angles: 100.63 100.63 121.26
Fractional coordinates of all 12 atoms:
Cs: 0.1704 0.8296 0.0000
Cs: 0.8296 0.1704 0.0000
K: 0.0000 0.0000 0.5000
K: 0.3566 0.6434 0.5000
K: 0.6434 0.3566 0.5000
Tc: 0.5000 0.5000 0.0000
O: 0.2103 0.4346 0.8013
O: 0.3258 0.3258 0.1800
O: 0.4346 0.2103 0.8013
O: 0.5654 0.7897 0.1987
O: 0.6742 0.6742 0.8200
O: 0.7897 0.5654 0.1987


(3)
Computed powder XRD pattern
Compound: Ba9Nb2CN10O
Radiation: Cu Kα (weighted mean of Kα1 and Kα2)
Structure: a DFT-relaxed cell (GGA-PBE, Alexandria)
Intensities are scaled so that the largest is 100.

Main lines, in order of rising 2θ (10° ≤ 2θ ≤ 90°):
two_theta  I_rel
27.4  52
28.1  86
28.5  100
29.3  62
29.7  45
31.4  71

Crystal structure
abc: 8.1179 9.7777 12.7777
angles: 76.03 85.71 87.77
Fractional coordinates of all 46 atoms:
Ba: 0.0015 0.3249 0.4181
Ba: 0.0314 0.3777 0.8730
Ba: 0.0363 0.0687 0.7247
Ba: 0.2354 0.2906 0.1579
Ba: 0.2433 0.9821 0.9960
Ba: 0.3259 0.4182 0.6180
Ba: 0.4653 0.7591 0.6184
Ba: 0.4846 0.9309 0.2764
Ba: 0.4873 0.6172 0.1076
Ba: 0.5127 0.3828 0.8924
Ba: 0.5154 0.0691 0.7236
Ba: 0.5347 0.2409 0.3816
Ba: 0.6741 0.5818 0.3820
Ba: 0.7567 0.0179 0.0040
Ba: 0.7646 0.7094 0.8421
Ba: 0.9637 0.9313 0.2753
Ba: 0.9686 0.6223 0.1270
Ba: 0.9985 0.6751 0.5819
Nb: 0.2306 0.6366 0.3365
Nb: 0.2315 0.7003 0.8786
Nb: 0.7685 0.2997 0.1214
Nb: 0.7694 0.3634 0.6635
C: 0.2403 0.0606 0.4660
C: 0.7597 0.9394 0.5340
N: 0.0051 0.3653 0.6204
N: 0.0423 0.8281 0.9136
N: 0.2001 0.0796 0.3713
N: 0.2115 0.6281 0.7470
N: 0.2379 0.5308 0.9984
N: 0.2580 0.7955 0.2053
N: 0.2868 0.0509 0.5580
N: 0.3021 0.4554 0.3000
N: 0.3588 0.6735 0.4526
N: 0.4383 0.8057 0.8767
N: 0.5617 0.1943 0.1233
N: 0.6412 0.3265 0.5474
N: 0.6979 0.5446 0.7000
N: 0.7132 0.9491 0.4420
N: 0.7420 0.2045 0.7947
N: 0.7621 0.4692 0.0016
N: 0.7885 0.3719 0.2530
-- stop --
So much for the materials data:
And when most citizens don’t give a f**k.
In South Korea’s case, the right-wing media (secretly pro-American and pro-Japanese) wants to get rid of 60% of the media establishments. Every South Korean commoner knows this from the fact of oppressive American influence being imprinted within the public.
In some countries, democracy and socialism both mean oligarchy. Sometimes I wonder whether westerners have the most naive attitude towards politics because of the historical “Cold War” social attitudes continuing today. Then again, my Korean relatives in Australia often make fun of Aussies and Zealies for being “more socialists” than the North Koreans and the Chinese.
But wow, I hadn’t expected New Zealand to become exactly like China when it comes to internet censorship. Maybe New Zealand should be called “People’s Commonwealth of New Zealand” in the future.
You’re surprised? up until 1984 New Zealand had only two television stations owned by the government and all televisions sold in New Zealand were only allowed to get those two television stations. Two mandated television stations as the sole source of all information. The clamp down was made even worse under Muldoon who used to evict journalists from press conferences and banned them from printing information regarding it unless they towed his political line. Lets not try to delude ourselves; New Zealand has a long and rich history when it comes to political control of the media – and all being marketed to the unwashed plebs as having noble ends.
As for socialist; the New Zealand government still owns:
* NZ Post
* Kiwibank
........
Record 1
Simulated powder X-ray diffraction pattern of LaPm7Ir4 for CuKα, from the GGA-PBE geometry in Alexandria.
Kinematic intensities with the Lorentz-polarization factor, no thermal factor.

The 10 most intense peaks (2θ from 10° to 90°), by angle:
- (4 0 -3), 2θ 29.03, d = 3.076 Å, I = 33
- (3 1 -3), 2θ 31.13, d = 2.873 Å, I = 28
- (1 1 2), 2θ 31.51, d = 2.839 Å, I = 25
- (0 2 0), 2θ 32.40, d = 2.763 Å, I = 100
- (3 1 1), 2θ 35.46, d = 2.531 Å, I = 81
- (2 0 -4), 2θ 36.32, d = 2.473 Å, I = 31
- (5 1 -3), 2θ 37.24, d = 2.414 Å, I = 69
- (5 1 -1), 2θ 38.32, d = 2.349 Å, I = 23
- (4 2 -3), 2θ 44.07, d = 2.055 Å, I = 25
- (2 2 -4), 2θ 49.46, d = 1.843 Å, I = 26

Structural model:
```
data_LaPm7Ir4
_symmetry_space_group_name_H-M 'C 1 2/m 1'
_symmetry_Int_Tables_number 12
_cell_length_a 13.9375
_cell_length_b 5.5261
_cell_length_c 10.2567
_cell_angle_alpha 90.00
_cell_angle_beta 126.08
_cell_angle_gamma 90.00
loop_
_symmetry_equiv_pos_as_xyz
'x,y,z'
'-x,-y,-z'
'-x,y,-z'
'x,-y,z'
'x+1/2,y+1/2,z'
'-x+1/2,-y+1/2,-z'
'-x+1/2,y+1/2,-z'
'x+1/2,-y+1/2,z'
loop_
_atom_site_label
_atom_site_type_symbol
_atom_site_fract_x
_atom_site_fract_y
_atom_site_fract_z
_atom_site_occupancy
La1 La 0.0000 0.0000 0.0000 1
Pm1 Pm 0.0000 0.5000 0.0000 1
Pm2 Pm 0.0869 0.0000 0.3785 1
Pm3 Pm 0.1646 0.5000 0.6132 1
Pm4 Pm 0.2105 0.0000 0.8703 1
Ir1 Ir 0.0681 0.5000 0.7852 1
Ir2 Ir 0.1991 0.5000 0.3252 1
```



Record 2
Simulated powder X-ray diffraction pattern of La3PmIr3 for CuKα, from the GGA-PBE geometry in Alexandria.
Kinematic intensities with the Lorentz-polarization factor, no thermal factor.

The 10 most intense peaks (2θ from 10° to 90°), by angle:
- (1 1 0), 2θ 20.18, d = 4.400 Å, I = 45
- (2 -1 3), 2θ 25.48, d = 3.496 Å, I = 19
- (0 0 6), 2θ 31.06, d = 2.879 Å, I = 24
- (3 -1 1), 2θ 31.49, d = 2.841 Å, I = 31
- (3 -2 2), 2θ 32.78, d = 2.732 Å, I = 27
- (3 0 0), 2θ 35.33, d = 2.540 Å, I = 95
- (2 -1 6), 2θ 37.32, d = 2.409 Å, I = 100
- (0 3 6), 2θ 47.75, d = 1.905 Å, I = 20
- (2 2 6), 2θ 52.34, d = 1.748 Å, I = 23
- (1 1 12), 2θ 68.59, d = 1.368 Å, I = 20

Structural model:
```
data_La3PmIr3
_symmetry_space_group_name_H-M 'R -3'
_symmetry_Int_Tables_number 148
_symmetry_space_group_name_Hall '-R 3'
_cell_length_a 8.7994
_cell_length_b 8.7994
_cell_length_c 17.2755
_cell_angle_alpha 90.00
_cell_angle_beta 90.00
_cell_angle_gamma 120.00
loop_
_atom_site_label
_atom_site_type_symbol
_atom_site_fract_x
_atom_site_fract_y
_atom_site_fract_z
_atom_site_occupancy
La1 La 0.0193 0.7317 0.1006 1
Pm1 Pm 0.0000 0.0000 0.3249 1
Ir1 Ir 0.0082 0.6306 0.9343 1
```



Record 3
Simulated powder X-ray diffraction pattern of La2Pm2Si4Ir for CuKα, from the GGA-PBE geometry in Alexandria.
Kinematic intensities with the Lorentz-polarization factor, no thermal factor.

The 10 most intense peaks (2θ from 10° to 90°), by angle:
- (1 1 0), 2θ 17.94, d = 4.944 Å, I = 24
- (2 0 0), 2θ 25.48, d = 3.496 Å, I = 100
- (1 1 2), 2θ 27.13, d = 3.287 Å, I = 28
- (2 0 2), 2θ 32.72, d = 2.737 Å, I = 42
........
* Solid Energy (Coal mining)
* Five electricity generators
* Kiwi Railway
* TVNZ – Channel 1, 2, 6, and 7
* 80% of Air New Zealand
* Land Corp – which is a giant farm producing beef, lamb, dairy and some other primary goods.
* Kordia – broadcaster for all television and radio, also owns Orcon ISP
I’m sure there are many, many more businesses own by the government – which makes many devoutly socialist countries seem freemarket but in defence of NZ due to the small size and good legislation (SOE Act) we as a country can get away with it.
Do you all honestly care? I mean it is two ISP’s using it and both already had strong filtering in place for those who wanted to block pornography, families with young children etc.
If we don’t want our Internet to be filtered we simply go with a different ISP. Seems a lot of osnews readers like to make mountains out of mole hills.
Well it’s probably different in NZ due to the size of the country, but here in the US your ISP options are rather limited by your geographic area. You may have one, you may have several, it depends. But if they were to bring internet filtering here, and you’ve only got one ISP choice in your area and it’s filtered, you’re kind of screwed. It could be a nice business opportunity though, unfiltered ISPs would probably start popping up in those areas in a relatively short time… unless, of course, they’d require filtering by law on all ISPs. In that case you would have to use Tor or some other proxy to bypass it.
If it became law it certainly would be a different story but until then I personally won’t get to worried.
........
No. 1
This entry pairs a crystal structure of NpCu2S3 with its theoretical powder diffraction line list. Radiation: a wavelength of 1.5418 Å. Structure: DFT lattice parameters and positions (PBE).

Top 6 peaks for 2θ = 10–90°, most intense first:
d (Å)	2θ (°)	I/Imax
5.878	15.1	100
2.831	31.6	44
2.374	37.9	37
2.515	35.7	36
2.959	30.2	31
3.062	29.2	28

```
NpCu2S3
1.0
6.710 0.000 0.000
0.000 3.876 0.000
-1.604 0.000 9.276
Np Cu S
2 4 6
Direct
0.162 0.250 0.177
0.838 0.750 0.823
0.217 0.250 0.846
0.401 0.750 0.421
0.599 0.250 0.579
0.783 0.750 0.154
0.050 0.750 0.340
0.232 0.750 0.980
0.472 0.750 0.674
0.528 0.250 0.326
0.768 0.250 0.020
0.950 0.250 0.660
```

No. 2
This entry pairs a crystal structure of SrNp2CuS5 with its theoretical powder diffraction line list. Radiation: a wavelength of 1.5418 Å. Structure: DFT lattice parameters and positions (PBE).

Top 6 peaks for 2θ = 10–90°, most intense first:
d (Å)	2θ (°)	I/Imax
2.680	33.4	100
3.261	27.4	70
6.651	13.3	59
2.087	43.4	42
3.273	27.2	40
3.325	26.8	31

```
SrNp2CuS5
1.0
-3.760 3.760 6.651
3.760 -3.760 6.651
3.760 3.760 -6.651
Sr Np Cu S
2 4 2 10
Direct
0.250 0.250 0.000
0.750 0.750 0.000
0.157 0.657 0.814
0.343 0.157 0.500
0.657 0.843 0.500
0.843 0.343 0.186
0.250 0.750 0.500
0.750 0.250 0.500
0.000 0.000 0.000
0.022 0.212 0.500
0.212 0.712 0.191
0.288 0.478 0.500
0.478 0.978 0.191
0.500 0.500 0.000
0.522 0.022 0.809
0.712 0.522 0.500
0.788 0.288 0.809
0.978 0.788 0.500
```

No. 3
This entry pairs a crystal structure of Tb2NpCuS5 with its theoretical powder diffraction line list. Radiation: a wavelength of 1.5418 Å. Structure: DFT lattice parameters and positions (PBE).

Top 6 peaks for 2θ = 10–90°, most intense first:
d (Å)	2θ (°)	I/Imax
2.653	33.8	100
2.325	38.7	85
3.450	25.8	62
2.766	32.4	51
3.059	29.2	37
3.177	28.1	30

```
Tb2NpCuS5
1.0
1.913 -8.556 0.000
1.913 8.556 0.000
0.000 0.000 11.310
Tb Np Cu S
4 2 2 10
Direct
0.103 0.897 0.500
0.118 0.882 0.123
0.882 0.118 0.623
0.897 0.103 0.000
0.200 0.800 0.824
0.800 0.200 0.324
0.440 0.560 0.267
0.560 0.440 0.767
0.047 0.953 0.876
0.293 0.707 0.496
0.322 0.678 0.157
0.361 0.639 0.818
0.496 0.504 0.591
0.504 0.496 0.091
0.639 0.361 0.318
0.678 0.322 0.657
0.707 0.293 0.996
0.953 0.047 0.376
```

No. 4
This entry pairs a crystal structure of SrNpCu2Se4 with its theoretical powder diffraction line list. Radiation: a wavelength of 1.5418 Å. Structure: DFT lattice parameters and positions (PBE).

Top 6 peaks for 2θ = 10–90°, most intense first:
d (Å)	2θ (°)	I/Imax
2.471	36.4	100
3.097	28.8	99
5.341	16.6	55
2.671	33.6	50
2.580	34.8	49
1.844	49.4	29

```
SrNpCu2Se4
1.0
6.786 0.000 0.000
0.000 7.213 0.000
0.000 0.000 7.948
Sr Np Cu Se
2 2 4 8
Direct
0.000 0.000 0.000
0.500 0.500 0.500
0.000 0.000 0.500
0.500 0.500 0.000
0.000 0.500 0.165
0.000 0.500 0.835
0.500 0.000 0.335
0.500 0.000 0.665
0.246 0.219 0.291
0.246 0.781 0.709
0.254 0.281 0.791
0.254 0.719 0.209
0.746 0.281 0.209
0.746 0.719 0.791
0.754 0.219 0.709
0.754 0.781 0.291
```
........
(Back to the page)
You should be, because once something becomes law it’s damn hard to get rid of it, sometimes impossible. Haven’t we learned yet what the “oh, it won’t happen yet” attitude has gotten us?
Sadly, I stopped wondering about the short-sightedness of conservative people and their knee-jerk reactions to change and technology.
I do wonder about the programmers and sysadmins implementing this stuff, though. They should know better! And unless forced at gunpoint, refuse to implement this antidemocratic/antisocial crap. I think they are just as much to blame for this nonsense as are the politicians.
While I do not endorse child abuse (or abuse in general) in any way what so ever, taking away everyones freedom and treating everybody like a criminal clearly is not a good solution.
You don’t just burn your crop because of one sick plant!?
I am really suprised by Osnews users. They are generally intelligent, well informed and smarter than average people. Yet they lack to see the truth. They talk about USA, Holland, France, New Zealand, Germany, China. This is nonsense. With a few exceptions (most notable North Korea) , we live in a Globalized World, even if you, like it or not.
So if something bad is happening in New Zealand and Australia, it is expectable to see that in the rest of the countries in the next future. New Zealand is just a test, if all goes “well”, there is no public scandal and outrage about hurting people’s rights and intimacy, it is highly expected we will see those things happen in USA and Europe, too.
Wow thats sad! Countries that use such filtering are basically telling their own people that they are too dumb to decide what they can and cannot see!
It is sad. Media and Hollywood is brainwashing us, governments begin to adopt legislation that hurts our freedom, our rights, our privacy. We think that we are the champions of the democracy, we laugh at 3rd world countries, we laugh at theocracies like Iran, we laugh at the countries that we think are ruled by feudalism or totaliarism.
We laugh at them, but our foolproof, rock solid, established western democracy is heading to a wordlwide dictatorship.
We no longer care about our future, our rights, our privacy. We no long have a clue about what is good and what is bad. We no long have a scale of values. We no long think with our brain. If TV or Hollywood says that a thing is good, than is good. If TV or Hollywood says that a thing is bad, than is bad. If a retarded like Bush says that we must invade Iraq, than we invade it.
We no longer can decide our future, there are groups who decide on our behalf, groups who will told us what to do, who will decide on our behalf what is right or not. But we don’t care, do we? They are deciding those things in our best interest, don’t they? I mean, they are protecting us, don’t they? What if we all, are a bunch of murderers, brainless, stupid people? And pedophiliacs. And drug dealers. Don’t we deserve to be watched, monitored and eventually punished as a preventive measure. Maybe we don’t have the right political convictions. And that’s a crime, isn’t it?
Maybe I tell a bunch of bullshit, but maybe there’s a chance that I’m right. Maybe there’s a chance that malefic, powerfull groups like Bilderberg and others are the master puppeteers. Maybe such groups who control the most important banks, the media, US and EU politics are controlling us too. Maybe some conspiracy theories, aren’t conspiracy theories after all.
Members are
* Australia
* Burma
* China
* Cuba
* Egypt
* Iran
* North Korea
* Saudi Arabia
* Syria
* Tunisia
* Turkmenistan
* Uzbekistan
* Vietnam